(What to do)
Could you count the lines further down that contain the word "OMol25" and give the number alone?
(File)
- - -
## one
This record from OMol25 describes C7H15NO2 as an isolated structure. The level of theory is the ωB97M-V functional and the def2-TZVPD basis.

Structure (XYZ):
```
25
C7H15NO2 the ωB97M-V functional and the def2-TZVPD basis
C -0.95 -1.07 0.27
C -0.08 0.33 -2.22
C -2.04 -0.21 0.59
C -1.19 -2.23 -0.66
C 0.50 -0.14 -0.89
O 1.52 -0.79 -0.83
H -0.21 -1.23 1.05
H 0.67 0.94 -2.73
H -0.98 0.92 -2.07
H -0.29 -0.54 -2.85
H -2.92 -0.29 -0.04
H -2.25 -0.09 1.65
H -1.56 0.95 0.43
H -0.26 -2.68 -1.01
H -1.79 -1.94 -1.52
H -1.75 -2.99 -0.11
C 2.47 0.88 1.68
N 1.03 1.04 1.54
C 0.48 1.43 0.33
O -0.69 1.97 0.32
H 0.53 1.41 2.34
H 1.20 1.84 -0.40
H 2.70 0.49 2.67
H 3.01 1.83 1.54
H 2.83 0.17 0.94
```

As for the LUMO energy: -0.3903 eV. The calculation puts the HOMO energy at -7.81 eV.

How is the electron density shared among the atoms? According to Mulliken, the charges in e are: 0.349, -1.472, -0.951, -1.450, 0.696, -0.584, 0.398, 0.423, 0.304, 0.399, 0.323, 0.335, 0.270, 0.373, 0.369, 0.393, -0.848, -0.065, -0.229, -0.662, 0.277, 0.458, 0.315, 0.303, 0.277

---

## two
This record from OMol25 describes a 2-piece molecular cluster, C7H15NO2 overall. The level of theory is the ωB97M-V functional and the def2-TZVPD basis.

Structure (XYZ):
```
25
C7H15NO2 the ωB97M-V functional and the def2-TZVPD basis
C -1.83 -0.48 1.08
C -1.27 0.29 -0.77
C -1.82 -0.57 -1.63
O -1.48 0.33 2.09
H -2.10 1.07 2.16
H -1.24 -1.38 1.05
H -2.90 -0.56 0.89
H -1.78 1.18 -0.41
H -1.27 -0.87 -2.51
H -2.74 -1.11 -1.46
C 1.83 -0.01 1.22
C 1.20 -1.72 -0.40
C 0.74 2.03 -0.40
N 0.94 -0.40 0.14
C 0.48 0.59 -0.89
O 0.87 0.36 -2.09
H 2.80 0.35 0.85
H 2.01 -0.87 1.87
H 1.38 0.77 1.82
H 0.42 -2.00 -1.11
H 2.13 -1.73 -0.99
H 1.22 -2.45 0.40
H 0.30 2.23 0.58
H 1.81 2.23 -0.36
H 0.31 2.70 -1.14
```

As for the LUMO energy (spin up / spin down): -1.3758 / -0.9864 eV. The calculation puts the HOMO energy (spin up / spin down) at -7.24 / -7.63 eV.

How is the electron density shared among the atoms? According to Mulliken, the charges in e are: -0.655, -0.452, -0.667, -0.416, 0.363, 0.346, 0.473, 0.530, 0.346, 0.262, -1.091, -1.040, -1.891, 0.378, 1.232, -0.810, 0.318, 0.345, 0.290, 0.259, 0.328, 0.370, 0.397, 0.363, 0.421

---

The energy of each structure relative to the most stable one, in kJ/mol, is as follows: one 0.0; two 237.1.

---

## one
This record from OMol25 describes one molecule with the formula C4H4BrI. The level of theory is the ωB97M-V functional and the def2-TZVPD basis.

Structure (XYZ):
```
10
C4H4BrI the ωB97M-V functional and the def2-TZVPD basis
C -1.17 1.58 0.02
C -1.92 0.23 -0.36
C 0.06 0.66 0.19
C -0.74 -0.55 -0.16
Br -1.68 3.36 0.31
I -3.89 -0.44 -0.35
H 0.86 0.97 -0.57
H 0.28 0.65 1.34
H -0.92 -1.17 0.78
H -0.39 -1.04 -1.04
```

As for the LUMO energy: 0.3371 eV. The calculation puts the HOMO energy at -8.22 eV. Its SMILES is BrC1=C(I)CC1.

How is the electron density shared among the atoms? According to Mulliken, the charges in e are: -0.179, -0.238, -0.130, -0.396, -0.117, 0.093, 0.262, 0.206, 0.229, 0.271

---

## two
This record from OMol25 describes a 2-piece molecular cluster, C4H4BrI overall. The level of theory is the ωB97M-V functional and the def2-TZVPD basis.

Structure (XYZ):
```
10
C4H4BrI the ωB97M-V functional and the def2-TZVPD basis
C -0.56 -1.71 -0.21
C 0.09 -0.64 -0.03
C 1.15 0.43 0.61
C 0.32 0.66 -0.65
Br -0.93 -3.42 0.09
I -3.46 1.92 0.13
H 0.69 0.83 1.50
H 2.17 0.11 0.71
H 1.15 0.57 -1.38
H -0.62 1.25 -0.78
```

As for the LUMO energy (spin up / spin down): -0.1641 / -3.4004 eV. The calculation puts the HOMO energy (spin up / spin down) at -9.30 / -7.32 eV.

How is the electron density shared among the atoms? According to Mulliken, the charges in e are: -0.481, 0.561, -0.542, -0.197, -0.064, 0.007, 0.243, 0.267, 0.211, -0.006

---

The energy of each structure relative to the most stable one, in kJ/mol, is as follows: one 0.0; two 230.4.

---

## one
- - -
(Done)
4